View Full Version : Arkie Accent

10-10-2010, 10:14 PM
I come from Arkansas and though I have always had shoes on my feet and currently have a mouth full of teeth, I still speak like a Good Ol' Boy. What do people think of girls or guys who talk with a heavy southern accent? Is this something I should try to fix or embrace, especially if I'm going to run around in pink as I do.

10-10-2010, 10:23 PM
I wouldn't worry about it. There is something about aSouthern Belle that drives men crazy.

10-10-2010, 10:26 PM
lol Good Ol' Boy =/= Southern Belle unfortunately. I'm more of that... ummm... hard to say. Imagine if an intellectual with thick glasses said soemthing akin to "The plight of women in this hemosphere is deplorable, y'awl." That's how I talk. x.x

10-10-2010, 11:00 PM
Don't sweat it dear, we all have accents. Just pay attention to how women from your area talk and emulate them, accent and all. A southern belle accent is quite charming. :)


10-10-2010, 11:06 PM
I come from Arkansas and though I have always had shoes on my feet and currently have a mouth full of teeth, I still speak like a Good Ol' Boy. What do people think of girls or guys who talk with a heavy southern accent? Is this something I should try to fix or embrace, especially if I'm going to run around in pink as I do.
It depends on whether those shoes are loafers or 5-inch pumps! Seriously, if you're used to talking in a certain accent, then if you are talking like a female you probably should use a very similar accent to the one you are used to. You're already making a correction to your speech; you don't need another one to compound it.

So for example it always astounds me how you get three syllables out of the word "vehicle", so just continue doing that as a woman! :D

Karen :)

10-11-2010, 02:21 AM
(“You”…) AR

“Hey, where are you at? Y’all are those reelters that live catty-corner to that “take-out” place that sells crawdads, roly-polys, oil & vinegar and cokes, right?”

(“Me”…) CO
“Yes, we are realtors and live diagonally from the carry-out place that sells crayfish, sowbugs, vinegar & oil and soft drinks. So, where are you?"

Colloquialisms, regional dialects, accents and such make life “more funner” for me, myself and I. Back when I was responsible, I lived in corporate jets and hotels, traveling to every state in the U.S.A. on a regular basis. I entertained myself (still do) by trying to guess where a person “grew up” by listening to their speech. I can still come within one neighboring state of their childhood home in most cases. My personal favorite is still the “Atlanta, Georgia voice”.

As to placing importance upon the vocal aspects of “passing” (whatever that means, lol)…

“You say falsetto, your SO says “OH, NO!…
Vocals and wigs and out the door we go…
Doing our best to cover what might show…
At the end of the day…we must face what most GGs and others ultimately know…”

"You don't need a weatherman to tell which way the wind blows." - Bob Dylan.

There ya’ go… too many freaks and not enough circuses…eh?
IMO, life has nothing to do with reality. It has everything to do with perceptions…:doh:

Now…”Leggo my Stiletto!” and get out there and make your own waves…

Think Less, Act more…life is short.


Here are some sites to check out…examples of dialects around the world…
International Dialects of English Archive
Founded 1997

10-11-2010, 05:43 AM
Nothing to worry about, hun. I live in a small town in middle Tn, and some of the native GG's sound so sweet and sexy with their southern accent, it is actually a bit of a turn on to me.

10-11-2010, 05:54 AM
Well, I'm not sure that I have an accent!:straightface:
I am not sure why people think that a southern accent is cute. Bless your heart!:heehee:

### Misplaced records of crystals
+++
[1]
Below is Cs3H5Pt after structural relaxation, with properties calculated at the GGA-PBE level.

Output
Crystal system ... tetragonal
Magnetic moment ... 0.00 μB per cell
Final energy ... -3.17 eV/atom

Cell: 8.1604 8.1604 6.2239 Å, 90.00 90.00 90.00°
Last column: nearest neighbours and their distance in Å.
Space group P4/mbm (No. 127)
Symmetry-distinct sites (fractional):
Cs  0.0000  0.0000  0.0000 x2  2 H 3.11
Cs  0.1846  0.3154  0.5000 x4  8 H 2.98-3.13
H  0.0000  0.0000  0.5000 x2  6 Cs 2.98-3.11
H  0.1033  0.6033  0.1870 x8  1 Pt 1.67
Pt  0.0000  0.5000  0.0000 x2  4 H 1.67


[2]
Below is CsCuAs2Se after structural relaxation, with properties calculated at the GGA-PBE level.

Output
Raw formation energy ... 1839 meV per atom
Crystal system ... tetragonal
Magnetic moment ... 2.21 μB per cell

Cell: 5.9851 5.9851 5.8810 Å, 90.00 90.00 90.00°
Last column: nearest neighbours and their distance in Å.
Space group P4/mmm (No. 123)
Symmetry-distinct sites (fractional):
Cs  0.0000  0.0000  0.0000 x1  2 Se 2.94, 4 As 2.99
Cu  0.5000  0.5000  0.5000 x1  8 As 4.20, 4 Se 4.23
As  0.0000  0.5000  0.0000 x2  2 Cs 2.99
Se  0.0000  0.0000  0.5000 x1  2 Cs 2.94


[3]
Below is Th3AlTc3 after structural relaxation, with properties calculated at the GGA-PBE level.

Output
Crystal system ... orthorhombic
Magnetic moment ... 0.00 μB per cell
ΔE_f ... -0.21 eV per atom

Cell: 4.1975 10.9922 13.5898 Å, 90.00 90.00 90.00°
Last column: nearest neighbours and their distance in Å.
Space group Cmcm (No. 63)
Symmetry-distinct sites (fractional):
Th  0.0000  0.0231  0.2500 x4  7 Tc 3.10-3.18, 2 Al 3.41
Th  0.0000  0.3042  0.1051 x8  6 Tc 2.90-3.16
Al  0.0000  0.0000  0.0000 x4  4 Tc 2.63
Tc  0.0000  0.2594  0.7500 x4  2 Tc 2.72, 4 Th 2.96
Tc  0.0000  0.4096  0.5909 x8  2 Al 2.63, 1 Tc 2.72, 1 Th 2.90


[4]
Below is Ca2PrSiN after structural relaxation, with properties calculated at the GGA-PBE level.

Output
Raw formation energy ... -787 meV per atom
Crystal system ... tetragonal
Magnetic moment ... 0.00 μB per cell

Cell: 4.7589 4.7589 5.0337 Å, 90.00 90.00 90.00°
Last column: nearest neighbours and their distance in Å.
Space group P4/mmm (No. 123)
Symmetry-distinct sites (fractional):
Ca  0.0000  0.5000  0.0000 x2  2 N 2.38
Pr  0.0000  0.0000  0.5000 x1  2 N 2.52
Si  0.5000  0.5000  0.5000 x1  4 Pr 3.37, 8 Ca 3.46
N  0.0000  0.0000  0.0000 x1  4 Ca 2.38, 2 Pr 2.52


> Look up the magnetic moment of the second one.

2.21 μB per cell
+++

One thing about Atlanta. There are so many non-natives, that there really isn't an "accent" related to the south!:doh:

Tina B.
10-11-2010, 07:04 AM
Due to mass media, and people relocating from place to place, accents are dieing out, hang on to yours, I love the sounds of an accent that idenifies where a person is from. I've been a californian all my life but come from a Texas family, and have always enjoyed hearing that drawl. And yes a Southern Belle always sounds sexy!

10-11-2010, 08:13 AM
You are just a southern belle. In my case I claim to speak Hillbilly from my time in East TN. If you are in a different part of the country it does tend to give you away, but in Ark you should be fine. If they look at you funny just give them a "SOOOOOOOOWE". That will shut them up because you are one of them. :D

10-12-2010, 10:03 PM
And don't forget your big hair!

I would think trying to get rid of your accent is just as hard or more then femming up you voice. Let it be part of you in both modes.

10-13-2010, 12:01 AM
Well, you don't Write like a Good Ol' Boy. So, I would assume your diction is not going to be a problem. A Southern Accent is not a Crime. Talking like your "ignernt'," writing like your stupid, hanging on to foolish, bigoted ideas....that's a problem!

I think it's always a good idea to remember "where you came from." Knowing "Who you are," helps us toward mental health. Humans are always growing, if you have a reason to mitigate The Accent you grew up with, do it! You can just consider yourself "evolving."

Peace and Love, Joanie

10-13-2010, 01:02 AM
One thing about Atlanta. There are so many non-natives, that there really isn't an "accent" related to the south!:doh:

hey Davida,

Yes, I agree to a degree. Maybe I should rephrase that.
"My personal favorite is still the “Atlanta, Georgia voice”, that most of the dancers at the "Cheetah" use.

There, all better...:D

10-13-2010, 04:17 AM
I love to hear regional accents, which, unfortunately, are rapidly disappearing. Of them, the southern ones are the most musical. My particular favorite is Birmingham, Alabama. There was a woman where I worked before retiring who spoke this way; just lovely.

**Records of crystals that have nothing to do with the piece:**
____________
Record 1
EuSnAu2, relaxed, DFT GGA-PBEsol; space-group type = Fm-3m; ΔE_f = -622.7 meV/atom
1.0
0.0000 3.5107 3.5107
3.5107 0.0000 3.5107
3.5107 3.5107 0.0000
Eu Sn Au
1 1 2
direct
0.0000 0.0000 0.0000 Eu
0.5000 0.5000 0.5000 Sn
0.2500 0.2500 0.2500 Au
0.7500 0.7500 0.7500 Au

---

Record 2
TiAlInC2, relaxed, DFT GGA-PBEsol; space-group type = P4/mmm; ΔE_f = 1384.8 meV/atom
1.0
4.0715 0.0000 0.0000
0.0000 4.0715 0.0000
0.0000 0.0000 5.1122
Ti Al In C
1 1 1 2
direct
0.0000 0.0000 0.0000 Ti
0.0000 0.0000 0.5000 Al
0.5000 0.5000 0.5000 In
0.0000 0.5000 0.0000 C
0.5000 0.0000 0.0000 C

---

Record 3
HfCuTeW2, relaxed, DFT GGA-PBEsol; space-group type = P4/mmm; formation energy from raw total energies = 2.424 eV/atom
1.0
4.8181 0.0000 0.0000
0.0000 4.8181 0.0000
0.0000 0.0000 5.2220
Hf Cu Te W
1 1 1 2
direct
0.0000 0.0000 0.0000 Hf
0.5000 0.5000 0.5000 Cu
0.0000 0.0000 0.5000 Te
0.0000 0.5000 0.0000 W
0.5000 0.0000 0.0000 W

---

Record 4
Ba2ZnH2, relaxed, DFT GGA-PBEsol; space-group type = I4/mmm; total DFT energy (no corrections) = -2.765 eV per atom
1.0
-2.0991 2.0991 7.2122
2.0991 -2.0991 7.2122
2.0991 2.0991 -7.2122
Ba Zn H
2 1 2
direct
0.1456 0.1456 0.0000 Ba
0.8544 0.8544 0.0000 Ba
0.5000 0.5000 0.0000 Zn
0.2500 0.7500 0.5000 H
0.7500 0.2500 0.5000 H

---

Record 5
Ca2Mg2Cu, relaxed, DFT GGA-PBEsol; space-group type = C2/c; energy above the lowest structure with this stoichiometry = 19.4 meV/atom; ΔE_f = -48.2 meV/atom
1.0
5.7715 -3.2570 0.0000
5.7715 3.2570 0.0000
-2.1387 0.0000 6.8019
Ca Mg Cu
4 4 2
direct
0.0648 0.2363 0.1322 Ca
0.2363 0.0648 0.6322 Ca
0.7637 0.9352 0.3678 Ca
0.9352 0.7637 0.8678 Ca
0.2938 0.4970 0.5315 Mg
0.4970 0.2938 0.0315 Mg
0.5030 0.7062 0.9685 Mg
0.7062 0.5030 0.4685 Mg
0.2697 0.7303 0.2500 Cu
0.7303 0.2697 0.7500 Cu

---

Record 6
Mg2FeTc, relaxed, DFT GGA-PBEsol; space-group type = Immm; energy above the lowest structure with this stoichiometry = 0.0 meV/atom; ΔE_f = 403.8 meV/atom
1.0
-1.4595 2.2469 4.5555
1.4595 -2.2469 4.5555
1.4595 2.2469 -4.5555
Mg Fe Tc
2 1 1
direct
0.2384 0.2384 0.0000 Mg
0.7616 0.7616 0.0000 Mg
0.0000 0.5000 0.5000 Fe
0.5000 0.0000 0.5000 Tc

---

Record 7
LaMn2Ag, relaxed, DFT GGA-PBEsol; space-group type = I-4m2; ΔE_f = 469.2 meV/atom
1.0
-2.0539 2.0539 4.3996
2.0539 -2.0539 4.3996
2.0539 2.0539 -4.3996
La Mn Ag
1 2 1
direct
0.0000 0.0000 0.0000 La
0.5000 0.5000 0.0000 Mn
0.7500 0.2500 0.5000 Mn
0.2500 0.7500 0.5000 Ag

---

Record 8
MgS2O7, relaxed, DFT GGA-PBEsol; space-group type = P-1; formation energy from raw total energies = -1.705 eV/atom
1.0
4.9265 0.0000 0.0000
-1.8838 6.7211 0.0000
-0.6844 -0.5512 8.2332
Mg S O
2 4 14
direct
0.0000 0.0000 0.0000 Mg
0.5000 0.5000 0.5000 Mg
0.0010 0.3588 0.7343 S
0.3699 0.7529 0.8098 S
0.6301 0.2471 0.1902 S
0.9990 0.6412 0.2657 S
0.0858 0.8050 0.1637 O
0.1600 0.8624 0.8193 O
0.1658 0.3202 0.6053 O
0.2189 0.5262 0.8628 O
0.2262 0.5557 0.3177 O
0.3951 0.1878 0.0655 O
0.4439 0.7294 0.6455 O
0.5561 0.2706 0.3545 O
0.6049 0.8122 0.9345 O
____________

10-13-2010, 04:27 AM
Some people love Southern Belles. I would work on the voice to a husky whisper. Then say "My, my. I have the vapors!" It gets 'em every time.

10-13-2010, 05:57 AM
hey Davida,

Yes, I agree to a degree. Maybe I should rephrase that.
"My personal favorite is still the “Atlanta, Georgia voice”, that most of the dancers at the "Cheetah" use.

There, all better...:D

The Cheetah!:eek:
I haven't been there in 25 years!:o:daydreaming::D

You mean.....those girls can talk?:doh::devil:

10-19-2010, 04:24 PM
I do feel that I need to inform you all that I no longer live in Arkansas... Too blind to drive a truck. T_T

Now I live in Saint Louis and go to school with a ton of people who are NOT from the South. I stand out like a sore thumb and it's ten times harder to understand what the minorities I will most likely be working with as a social worker are saying. Took me three months to learn how to speak to my Black co-workers at Macy's.

It's very hard to have a thick accent in a world that associates said accent to ignorance, bigotry, and poor hygiene. Even worse is the fact that, back home, there are still plenty of people with the same accent who actually praise those same values... It doesn't help and frankly, I hate my accent.

Fab Karen
10-19-2010, 08:04 PM
I still speak like a Good Ol' Boy. What do people think of girls or guys who talk with a heavy southern accent? Is this something I should try to fix or embrace, especially if I'm going to run around in pink as I do.
Having an accent is different from speaking like a redneck "jeetyet" for example ( did you eat yet ).

If you hate your accent, you can go to a speech therapist/coach ( actors & news reporters use them ).

10-22-2010, 07:36 PM
Some people compliment me on my speaking skills. ^^ Either this means I'm articulate or it means they're impressed I can speak at all. :P